Maite horyvéva David Galeano Olivera opavavépe
Next to the article, the page also holds crystal structures =
+++
# 1
# NdSbMo PBE relaxed
data_NdSbMo
_chemical_formula_sum 'Nd2 Sb2 Mo2'
_cell_length_a 4.367
_cell_length_b 4.253
_cell_length_c 7.955
_cell_angle_alpha 90.00
_cell_angle_beta 93.17
_cell_angle_gamma 90.00
_space_group_name_H-M_alt 'P 1'
_space_group_IT_number 1
loop_
_space_group_symop_operation_xyz
'x,y,z'
loop_
_atom_site_label
_atom_site_fract_x
_atom_site_fract_y
_atom_site_fract_z
Nd1 0.235 0.250 0.341
Nd2 0.765 0.750 0.659
Sb1 0.285 0.250 0.767
Sb2 0.715 0.750 0.233
Mo1 0.178 0.750 0.000
Mo2 0.822 0.250 0.000
# E_form (uncorrected) in eV/atom: -0.42

***

# 2
First-principles (PBE) data for a relaxed NdScMo4 crystal, as listed in the Alexandria database.

```
data_NdScMo4
_chemical_formula_sum 'Nd1 Sc1 Mo4'
_cell_length_a 5.487
_cell_length_b 5.487
_cell_length_c 5.487
_cell_angle_alpha 60.00
_cell_angle_beta 60.00
_cell_angle_gamma 60.00
_space_group_name_H-M_alt 'P 1'
_space_group_IT_number 1
loop_
_space_group_symop_operation_xyz
'x,y,z'
loop_
_atom_site_label
_atom_site_fract_x
_atom_site_fract_y
_atom_site_fract_z
Nd1 0.000 0.000 0.000
Sc1 0.750 0.750 0.750
Mo1 0.375 0.375 0.375
Mo2 0.375 0.375 0.876
Mo3 0.375 0.876 0.375
Mo4 0.876 0.375 0.375
```

***

# 3
# Nd2MoSe5 PBE relaxed
data_Nd2MoSe5
_chemical_formula_sum 'Nd4 Mo2 Se10'
_cell_length_a 7.250
_cell_length_b 7.250
_cell_length_c 7.999
_cell_angle_alpha 90.00
_cell_angle_beta 90.00
_cell_angle_gamma 90.00
_space_group_name_H-M_alt 'P 1'
_space_group_IT_number 1
loop_
_space_group_symop_operation_xyz
'x,y,z'
loop_
_atom_site_label
_atom_site_fract_x
_atom_site_fract_y
_atom_site_fract_z
Nd1 0.000 0.500 0.000
Nd2 0.000 0.500 0.500
Nd3 0.500 0.000 0.000
Nd4 0.500 0.000 0.500
Mo1 0.000 0.000 0.135
Mo2 0.500 0.500 0.635
Se1 0.000 0.000 0.859
Se2 0.237 0.237 0.214
Se3 0.237 0.763 0.214
Se4 0.263 0.263 0.714
Se5 0.263 0.737 0.714
Se6 0.500 0.500 0.359
Se7 0.737 0.263 0.714
Se8 0.737 0.737 0.714
Se9 0.763 0.237 0.214
Se10 0.763 0.763 0.214
# E_form (uncorrected) in eV/atom: -1.04

***

# 4
# NdMo6Se8 PBE relaxed
data_NdMo6Se8
_chemical_formula_sum 'Nd1 Mo6 Se8'
_cell_length_a 6.816
_cell_length_b 6.816
_cell_length_c 6.816
_cell_angle_alpha 88.81
_cell_angle_beta 88.81
_cell_angle_gamma 88.81
_space_group_name_H-M_alt 'P 1'
_space_group_IT_number 1
loop_
_space_group_symop_operation_xyz
'x,y,z'
loop_
_atom_site_label
_atom_site_fract_x
_atom_site_fract_y
_atom_site_fract_z
Nd1 0.000 0.000 0.000
Mo1 0.236 0.424 0.560
Mo2 0.424 0.560 0.236
Mo3 0.440 0.764 0.576
Mo4 0.560 0.236 0.424
Mo5 0.576 0.440 0.764
Mo6 0.764 0.576 0.440
Se1 0.122 0.754 0.374
Se2 0.241 0.241 0.241
Se3 0.246 0.626 0.878
Se4 0.374 0.122 0.754
Se5 0.626 0.878 0.246
Se6 0.754 0.374 0.122
Se7 0.759 0.759 0.759
Se8 0.878 0.246 0.626
# E_form (uncorrected) in eV/atom: -0.73

***

# 5
# NdSi2Mo PBE relaxed
data_NdSi2Mo
_chemical_formula_sum 'Nd3 Si6 Mo3'
_cell_length_a 4.214
_cell_length_b 4.214
_cell_length_c 15.457
_cell_angle_alpha 90.00
_cell_angle_beta 90.00
_cell_angle_gamma 120.00
_space_group_name_H-M_alt 'P 1'
+++
II Encuentro GUARANI
Posted by Mercosur
CPLP & Leer (hacer clic) en: http://dgaleanolivera.wordpress.com/ii-encuentro-guarani- 2011 /
More than a thousand Guarani arrived Wednesday to Pedro Juan Caballero (Paraguay) to attend the inauguration of the Second Meeting Guaraní, which brings together native "of that ethnicity-of the countries of the Southern Common Market (Mercosur).
The meeting, organized by the National Secretariat of Culture of the Presidency of Paraguay, will begin this Thursday and will end on March 26. The meeting, follows a similar meeting held in February last year in Parana, Brazil. Guarani
The Second Encounter, which opened borne by the community's spiritual leader Pai, coincides with the commemoration Bicentennial of Independence and the twentieth anniversary of the Treaty of Asunción (March 26), which gave rise to the Mercosur regional bloc comprising Argentina, Brazil, Bolivia and Paraguay.
For this opportunity, then focus on Brazil, Paraguay was chosen to be an ancestral homeland and a marked presence of the Guarani people, represented by the Ache people, Ava Guarani, Mby, Paà Tavyterâ, Ñandeva and Guaraní Guaraní Occidental.
In the South American country will discuss issues of territoriality, the free passage of the original Guaraní Nation and territories included within the Mercosur and the creation of an instance permanent, the Guarani people, within the regional bloc.
The annual meeting that made the original is part of the Cultural Mercosur.
The Paraguayan Minister of Culture, Titius Escobar, recently reported that the upcoming assembly Guarani is in line with the four central points of the bicentennial of the independence of Paraguay, to commemorate the 14 and 15 May.
axes are "heritage and traditional culture, the construction of citizenship, memory and project, and the constitution of ethnic groups and dialogues at the regional level," he said.
The Paraguayan Minister of Culture said that the given event, begin the major activities in celebration of 200 years of independence, and "is like a synthesis of all programs" of the festivities.
For its part, the participants hope that the second meeting of the Guaraní Nation constitutes an opportunity to discuss and coordinate actions that go beyond barriers and to arm themselves more equitable ways of living.
"We live here for over 500 years, we say this in the Bicentennial, because we are still here and we will continue to be," he said recently Ache leader Maria Luisa Duarte.
For the closing ceremony is scheduled to attend - yet unconfirmed Paraguayan President Fernando Lugo, as well as their counterparts in Bolivia, Evo Morales, and Uruguay, Jose Mujica
ooo000ooo II
Yvy marae'ŷ Teta mbareteverâ Guarani - not bad for the earth strengthening the Guarani Nation
WEDNESDAY 23 MARCH 19:00 Arrival of participants. Pai welcomed the tradition.
Registration of participants. Advice and logistical support.
19:30 Dinner. Advice and logistical support.
20:00 Meeting between inland councils.
22:00 Break. THURSDAY 24 MARCH
• Welcome and Opening of the meeting
5:30 to 07:30 Breakfast. Advice and logistical support.
7:30 to 8:00 Registration of participants. Advice and logistical support.
8:00 to 8:30 Opening and spiritual act by the religious leader of the Pai community. 8:30 to 9:15
words community leader, a board member
Paraguay Guarani and a representative from the cooperating institution National Secretariat of Culture.
9:15 to 9:30 Welcome, explanation and background to the II Meeting. Council Representative
Paraguay Guarani. (Angel Vera)
9:30 to 10:45 First Panel: Exhibitors
TERRITORIAL Paraguay, Argentina, Brazil and Bolivia
Moderator: Catalino Sosa
• • Autonomy and self determination. BOLIVIA
• • Boundaries-political recognition. BRAZIL
• • Legal guarantees: Implementation and / or enforcement of laws, international conventions and treaties, and customary law warranty. PARAGUAY (Alberto Vasquez and Angel Vera)
• • Guarani Aquifer. PARAGUAY
• • Rights to possession and use of natural resources: air, soil and subsoil. ARGENTINA
10:45 to 11:00 Moderator (Crecencio Cáceres, Maria Luisa Duarte). Explanation of the methodology and organization of work groups by PEOPLE. 11.00 to 11:15
Media morning.
11:15 to 12:15 Working group on the subject by people. 12:15 to 13:15
Summary of proposed country.
Lunch 13:15 to 14:45 14:45 to 15:45 Presentation of findings by country.
15:45 to 16:45 Plenary and questions (Writing Team-synthesis).
16:45 to 17:20 17:20 to 19:20 Tea Different cultural activities.
Dinner 19:30 to 20:30 20:30 to 22:30 Break 22:30
cultural Nights
FRIDAY MARCH 25 5:30 to 7:30 Breakfast 7:30 to 8:00 Opening
and spiritual act by the religious leader (BRAZIL)
8:00 to 9:00 Reading and approval of the document the day's session above.
Moderator: Alba Duarte
• • Political recognition of the MERCOSUR countries to the Guaraní Nation and across borders.
PARAGUAY (Mario Rivas)
• • Compliance with the principles of the treaties, declarations and international agreements BOLIVIA
standards • • Recognition of the identity of the Guarani people in each country for the free movement of persons, personal possessions and traditionally used and craftsmanship. BRAZIL
10:00 to 10:15 Chair: Filomena Portillo. Explanation of methodology and Workshops organized by PEOPLE.
Mid Morning 10:15 to 10:30 10:30 to 11:30
Group work on the subject by people
11:30 to 12:30 Summary of COUNTRY proposed
12:30 to 14:00 Lunch 14: 00 to 15:30 Plenary and questions (Writing Team-synthesis)
Reading 15:30 to 16:00 Statement on Bicentennial
Snack 16:00 to 17:00 Sponsored
17:00 to 19: 00
Moderator: Peter Guaino
talk. Final proposal. 19:00 to 19:30
Youth Statement
Dinner 19:30 to 20:30 20:30 to 22:30 Break 22:30
cultural Nights
SATURDAY MARCH 26 5:30 to 7:30 Breakfast.
7:30 to 8:00 Opening and spiritual act by religious leaders of all representations
closing ceremony only. 8:00 to 9:30
Moderator: Ricardo Mbekroróngi.
Reading and approval of documents in the previous session.
9:30 to 11:00 Guarani women Dialogue with the Minister of Women, Mrs. Gloria Rubin
Topic: Identifying Interests and abilities to work together.
11:00 to 15:00 time for other integration activities.
15:00 Closing Ceremony in Commemoration of the twentieth anniversary of the signing of the Treaty of Asunción.
Welcome by Master of Ceremony Opening Remarks
. Minister Escobar
Ticio Reading and delivery of the Declaration of the II Charter
Guaraní words of a representative of the Second Meeting
Remarks by President, Don Fernando Lugo
closing words of His Excellency the President of Bolivia, Evo Morales
spiritual act
tour of the complex of traditional architecture Guarani OGUASU. " Toast
Pai menu Tavytera
End of act.
the important work done by Mr. Leo Rubin, who is attending the meeting and daily from 16 to 18 hours, transmitting the alternatives of this great meeting through Radio Guarani Ñanduti, Asuncion, and also Radio Mburukuja of Pedro Juan Caballero , and also achieving the solidarity of other national and international media also disseminate the details of this second meeting Guarani, which takes place in Jaguatî (Amambay Department, Paraguay). Here are two videos hosted on the site of Radio Ñanduti:
Second Meeting of the National Bicentennial Guaraní Under the assumption without exclusion: http://www.nanduti.com.py/v1/videos/video_ver.php?id=5319&buscar =% 20II% 20Encuentro% 20of% 20the% 20Naci% F3n% 20Guaran% ED% 20Bajo% 20to% 20postulado% 20Bicentenario% 20sin% 20exclusi% F3n
Guarani II Meeting begins today in Amambay: http://www.nanduti.com.py/v1/videos/video_ver.php?id=5318&buscar=Inicia% 20Today% 20Encuentro% 20II% 20and% 20Amambay 20Guarani%
Read Ultima Hora: http://www.ultimahora.com/notas/414739-Comienza-II-Encuentro-continental-guarani-con-debate-sobre-territorialidad
Read also on Pedro Juan Digital: http://www.